Minutes of the Toc Chamber of Commerce's held on the Tues Oct 13th 2015 at Golf Club

Present: Liz Lang, Sun Lui, Sergio Redegalli, Clive marsh, Steve Naughton, George Christie, Ross Bodey, Spencer Rutherford, LockieThornburn, Tracey Stewart, Kerry Davies

Apologies: MerynSocha, Colin Jones, Kristine Philpot, Mark Baldwin, Marg Rumbold

Minutes: Moved C March, Seconded Steve Naughton. That they be accepted.

Business Arising:

Tunnels - Kerry still working on

Town Map - should be ready to edit next week: Sergio would like an add in it, LIz to follow up.

Presidents Report:

Presidents meeting with Council delayed to the 26th October.

Liz congratulated the Flyer team

Liz thanked the businesses that opened up over the long weekend

Treasurers Report:

Opening Balance $13044

Closing Balance $14699

33 memberships received

LockieThornburn requested membership form. S. Naugton to follow up.


Deferred as no Secretary

Retail Report:

Fairy lights paid for and received. Rural Fire brigade to put up.

Sergio provided info on Xmas decorations

Postcards - now available

General Business:

Old Buildings : L Thornburn still working on

Carols: Sunday before Xmas. Liz Lang and Katie Gouty organising, Specer Rutherford offered to assit.

Tree Planting in Deniliquin St - -suppose to happen when completed tree planting on Newell Highway, water under street seems to be still an issue.

Street Name Change. Apparently Emergency numbers have been informed. Rotary to pain new numbers on kerb

Activities over Xmas/ New Year/January for Visitors: A general discussion took place. Foreshore Committee proposing film night on foreshore, want entertainment before film. Find out what pubs, golf club, bowls club proposing. Food stall night proposed. Films in Hall proposed. Bush dancing, Old time dancing, dancing demos, and up and coming local bands

# These calculated crystals were left in the text by mistake
## Li4TiCo5O12 (PBE+U)

Data for crystalline Li4TiCo5O12 at its relaxed geometry.

Cell: 4.947 10.835 8.662 Å, 113.30 89.86 85.07°
Atoms (fractional coordinates):
Li: 0.039 0.747 0.208
Li: 0.539 0.747 0.710
Li: 0.462 0.252 0.962
Li: 0.958 0.253 0.463
Li: 0.550 0.748 0.047
Li: 0.045 0.748 0.546
Li: 0.954 0.253 0.798
Li: 0.455 0.253 0.298
Ti: 0.000 0.000 0.001
Ti: 0.500 0.000 0.501
Co: 0.751 0.500 0.746
Co: 0.749 0.500 0.411
Co: 0.751 0.501 0.080
Co: 0.500 0.000 0.834
Co: 0.000 0.000 0.334
Co: 0.251 0.500 0.246
Co: 0.252 0.500 0.915
Co: 0.249 0.499 0.583
Co: 0.000 0.000 0.667
Co: 0.500 0.000 0.167
O: 0.411 0.601 0.794
O: 0.906 0.604 0.292
O: 0.594 0.395 0.187
O: 0.087 0.397 0.691
O: 0.823 0.106 0.553
O: 0.322 0.106 0.053
O: 0.177 0.894 0.448
O: 0.677 0.894 0.948
O: 0.310 0.106 0.724
O: 0.810 0.106 0.224
O: 0.190 0.894 0.119
O: 0.690 0.894 0.619
O: 0.810 0.105 0.882
O: 0.310 0.105 0.382
O: 0.690 0.895 0.278
O: 0.190 0.895 0.777
O: 0.090 0.392 0.019
O: 0.585 0.393 0.524
O: 0.618 0.394 0.872
O: 0.107 0.394 0.375
O: 0.414 0.609 0.128
O: 0.911 0.605 0.632
O: 0.885 0.608 0.981
O: 0.391 0.606 0.481

Results
For the raw total energy, the calculation gives -6.0907 eV/atom. For the excess energy over the best structure of this formula in the dataset, the calculation gives 63 meV per atom. The value obtained for the magnetic moment is 0.0001 μB per atom. Its crystal system is triclinic. The calculation puts the formation energy at -1.817 eV/atom.

=====

## Li4TiCo5O12 (PBE+U)

Data for crystalline Li4TiCo5O12 at its relaxed geometry.

Cell: 4.963 20.097 4.988 Å, 89.73 118.83 89.06°
Atoms (fractional coordinates):
Li: 0.644 0.372 0.146
Li: 0.649 0.872 0.152
Li: 0.849 0.128 0.348
Li: 0.851 0.627 0.362
Li: 0.146 0.373 0.643
Li: 0.151 0.872 0.652
Li: 0.350 0.128 0.848
Li: 0.361 0.627 0.850
Ti: 0.000 0.000 0.000
Ti: 0.006 0.501 0.006
Co: 0.500 0.750 0.500
Co: 0.835 0.250 0.164
Co: 0.835 0.750 0.165
Co: 0.164 0.250 0.835
Co: 0.165 0.750 0.836
Co: 0.500 0.250 0.500
Co: 0.338 0.999 0.665
Co: 0.333 0.499 0.663
Co: 0.662 0.001 0.335
Co: 0.663 0.499 0.333
O: 0.170 0.297 0.171
O: 0.170 0.797 0.171
O: 0.830 0.203 0.829
O: 0.829 0.703 0.828
O: 0.329 0.052 0.316
O: 0.335 0.550 0.337
O: 0.662 0.452 0.660
O: 0.671 0.948 0.684
O: 0.676 0.057 0.005
O: 0.686 0.556 0.034
O: 0.970 0.444 0.311
O: 0.981 0.945 0.327
O: 0.019 0.055 0.673
O: 0.033 0.556 0.688
O: 0.313 0.444 0.968
O: 0.324 0.943 0.995
O: 0.507 0.201 0.170
O: 0.508 0.700 0.171
O: 0.172 0.201 0.507
O: 0.172 0.700 0.507
O: 0.827 0.299 0.493
O: 0.828 0.799 0.493
O: 0.492 0.299 0.829
O: 0.492 0.799 0.830

Results
For the raw total energy, the calculation gives -6.0934 eV/atom. For the excess energy over the best structure of this formula in the dataset, the calculation gives 60 meV per atom. The value obtained for the magnetic moment is 0.0455 μB per atom. Its crystal system is triclinic. The calculation puts the formation energy at -1.820 eV/atom.

=====

## Li4TiCo5O12 (PBE+U)

Moved: K Davies Seconded: Steve Naugton Carried

That a Committee be established to investigate and report back to Chamber for Xmas/January and Easter with Committee consisting of Ross Bodey; Spencer Rutherford: Sergio Redegalli; Kerry Davies

Moved: Liz Lang Seconded Steve Naughton Carried

That Chamber contribute $800 for a band.

Flags Outside Information Centre. Appear to be lost, Ross Bodey to inquire as to whether in Tourist Info Building. Liz Lang reported meeting had being deferred

Electricity Supply Problems: Sergio Redegalli reported on issues he was having. Agreed this was a major issue for not only Sergio but other potential businesses coming to Toc. Agreed that Sergio to find out more inform. Chamber to do some lobbying re situation after Sergio finds out more.

Information Centre not able to sell train tickets. Rumour at present, waiting for meeting between Info centre and Council.

AGM next Meeting:To be held next meeting. Presidents and Secretary's position will be vacant.

Next Meeting: Wednesday 11th November at 7pm at Golf Club. Dat e changed because of Golf Club vote night